[German]German blog reader Robert contacted me recently by emailed to report that he had run into problems with Outlook and other apps under Microsoft 365 on Windows Server 2016 (and 2019) Terminal Server. Microsoft Outlook, Excel crashes in a certain build, which could be related to an Edge update.
Microsoft Outlook 365 crashes
Robert wrote that he was facing something strange. It's about Microsoft 365 (Build 16.0.18324.20168) and apps like Outlook (or Excel, as he found out later).
If he launches Microsoft Outlook Microsoft Outlook (from Microsoft 365, Current Channel) in the latest version on a customer's WTS (a Windows Terminal Server under Windows Server 2016), an error message appears and Outlook is closed again. It's a German version of Microsoft 365, as you can see on the following screenshot, that says "Microsoft Outlook doesn't work, a problem prevented to execute the program".
If he launches Microsoft Outlook 365 in the suggested safe mode, he receives a more detailed error message.
The message reports, that the file react-native-win32.dll was not found in the specified path. This suggested that something had entered the wrong path or deleted the .dll file. When Robert checked the system, the offending file was found in the correct location and was the same version as on his Windows 10 computer.
That was strange. The only change that the reader could see was an update of Microsoft Edge to version 130.0.2849.142 (official build, stable app, extended channel, 64-bit). Webview2 had not been updated yet, Robert wrote. A new installation, even with freshly downloaded installation files, and a restart of the WTS did not help. The following entry was found in the event log:
Name der fehlerhaften Anwendung: OUTLOOK.EXE, Version: 16.0.18324.20168, Zeitstempel: 0x67782e8d
Name des fehlerhaften Moduls: mso20win32client.dll, Version:, Zeitstempel: 0x675b7486
Ausnahmecode: 0x201c24a0
Fehleroffset: 0x001bda04
ID des fehlerhaften Prozesses: 0x2690Faulting application start time: 0x01db6414ae82343f
Faulting application path: C:\Program Files (x86)\Microsoft Office\root\Office16\OUTLOOK.EXE
Faulting module path: C:\Program Files (x86)\Common Files\Microsoft Shared\Office16\mso20win32client.dll
Report identifier: eefe039c-d007-11ef-bdfe-000c29ac047d
Full name of faulting package:
Application ID relative to faulting package: …
During further diagnostic steps, Robert discovered that Microsoft Excel 365 suddenly stopped working and left the following entry in the Event Viewer.
Faulting application name: EXCEL.EXE, version: 16.0.18324.20168, time stamp: 0x67782fb2
Faulting module name: KERNELBASE.dll, version: 10.0.14393.7513, time stamp: 0x67171aad
Exception code: 0xc06d007e
Error offset: 0x000dd562
Faulting process ID: 0x5f8
Faulting application start time: 0x01db64152e395a8c
Faulting application path: C:\Program Files (x86)\Microsoft Office\root\Office16\EXCEL.EXE
Faulting module path: C:\Windows\System32\KERNELBASE.dll
Report ID: 77c7e2bc-d008-11ef-bdfe-000c29ac047d
Full name of the faulty package:
Application ID relative to the faulty package:
At this point it was clear that an update of a component was causing this error.
A downgrade helps
In a third email, Robert then provided a solution to the problem that had occurred. He managed to install the previous version .20162 of Microsoft 365. Try the following command:
"C:\Program Files\Common Files\microsoft shared\ClickToRun\OfficeC2RClient.exe" /update user updatetoversion=16.0.18227.20162
After that, everything seems to be working again. The reader notes that it looks like the latest Microsoft 365 feature update to build .20168 is faulty and does not work, at least on Windows Server 2016.
Confirmed by Microsoft
Addendum: Microsoft has confirmed that they are investigating the issue in MS Service Health Portal, Message ID MO978220.
Some users' Microsoft 365 applications may be unexpectedly crashing on Windows Server 2016 devices
Problem-ID: MO978220
Affected services: Microsoft 365 suite
Status: Service impairment
Problem type: Note
Start time: Jan 13, 2025, 09:56 MEZUser impact
Users' Microsoft 365 applications may be unexpectedly crashing on Windows Server 2016 devices.Scope of impact
Impact is specific to some users who are served through the affected infrastructure.Current status
13. Jan. 2025, 11:45 MEZ
We're continuing to review service monitoring telemetry to isolate the root cause and develop a remediation plan.
Next to the page, the page also holds calculated molecules >
(1)
DFT (the ωB97M-V functional and the def2-TZVPD basis) results for a structure of composition C35H47Cl12F6NO5.

The value obtained for the total energy is -7913.40934 Eh.

```
106
C35H47Cl12F6NO5 the ωB97M-V functional and the def2-TZVPD basis
C -3.20 -0.95 2.53
C -2.17 -2.26 2.55
C -0.98 -2.28 3.67
C -2.41 -3.34 1.52
C -1.41 -3.34 0.21
C -2.01 -4.12 -1.11
C -3.48 -3.57 -1.61
C -3.91 -4.10 -3.12
C -3.60 -1.94 -1.58
C -2.56 -1.18 -2.65
N -1.94 -0.03 -1.89
C -2.89 1.10 -1.47
O -4.21 1.23 -1.59
C -1.86 2.22 -0.85
C -2.07 3.51 0.14
C -0.69 4.34 0.55
C 0.81 3.92 -0.06
C 0.99 2.62 -1.09
C 2.46 2.26 -1.70
O 3.09 3.25 -2.38
C 3.29 0.86 -1.55
F 3.02 0.02 -2.74
F 4.75 1.23 -1.64
C 3.11 0.09 -0.11
F 1.66 -0.26 0.10
F 3.47 0.94 1.08
C 3.96 -1.30 0.05
F 3.83 -2.25 -1.07
F 3.42 -2.02 1.27
C 5.58 -1.08 0.37
O 6.04 -0.78 1.61
O 6.64 -1.18 -0.69
C -0.39 1.80 -1.45
C -0.59 0.50 -2.42
O 0.12 0.00 -3.43
H -4.19 -1.32 2.00
H -2.67 -0.08 1.91
H -3.43 -0.56 3.61
H 0.09 -2.14 3.18
H -1.11 -1.36 4.41
H -0.95 -3.24 4.35
H -3.30 -4.09 1.68
H -0.39 -3.81 0.56
H -1.18 -2.23 -0.13
H -2.07 -5.26 -0.82
H -1.18 -4.03 -1.95
H -4.27 -4.00 -0.86
H -3.13 -3.78 -3.94
H -4.14 -5.25 -3.10
H -4.95 -3.56 -3.35
H -4.73 -1.65 -1.83
H -3.42 -1.51 -0.48
H -3.26 -0.81 -3.54
H -1.80 -1.96 -3.07
H -3.14 3.78 0.51
H -0.84 5.29 1.26
H 1.72 4.58 0.28
H 6.30 -1.68 -1.49
Cl 1.94 7.57 -4.36
C 3.23 6.36 -4.17
C 4.53 6.97 -3.68
Cl 5.28 8.02 -4.91
H 3.36 5.85 -5.13
H 2.87 5.62 -3.44
H 5.25 6.18 -3.46
H 4.38 7.56 -2.77
Cl -2.41 -0.21 6.20
C -1.97 0.11 7.89
C -0.87 -0.81 8.39
Cl -1.41 -2.50 8.54
H -2.88 0.02 8.50
H -1.64 1.15 7.94
H -0.54 -0.49 9.39
H 0.00 -0.79 7.72
Cl -0.93 -5.31 -3.23
C 0.28 -5.11 -4.51
C -0.28 -4.37 -5.72
Cl -1.48 -5.35 -6.60
H 0.66 -6.10 -4.78
H 1.11 -4.53 -4.08
H 0.53 -4.15 -6.43
H -0.75 -3.43 -5.44
Cl -1.04 3.64 2.64
C -0.61 3.96 4.34
C 0.50 3.04 4.83
Cl -0.05 1.35 4.98
H -1.51 3.87 4.95
H -0.27 5.00 4.39
H 0.82 3.36 5.83
H 1.37 3.06 4.17
Cl -3.56 5.06 3.32
C -5.25 5.61 3.39
C -6.22 4.54 2.92
Cl -6.07 4.22 1.17
H -5.34 6.52 2.80
H -5.46 5.86 4.43
H -7.25 4.86 3.10
H -6.06 3.59 3.44
Cl 5.28 -3.78 -3.36
C 6.79 -4.72 -3.37
C 7.85 -4.10 -4.28
Cl 7.41 -4.22 -6.00
H 6.55 -5.74 -3.67
H 7.15 -4.74 -2.34
H 8.80 -4.63 -4.15
H 8.01 -3.05 -4.04
```

***

(2)
DFT (the ωB97M-V functional and the def2-TZVPD basis) results for a cluster of 4 separate species, C35H47F13N3O6S in total.

Its charge is -1. The value obtained for the total energy is -3674.01372 Eh.

```
105
C35H47F13N3O6S the ωB97M-V functional and the def2-TZVPD basis
C 1.28 -3.42 0.79
C 1.75 -2.35 0.43
C 2.10 -0.97 0.09
O 3.46 -0.81 0.48
C 2.01 -0.68 -1.43
C 0.98 -1.53 -2.18
C -0.45 -1.44 -1.62
C -1.49 -1.87 -2.68
C -2.67 -2.66 -2.08
C -3.94 -1.80 -2.07
C -3.85 -0.59 -1.11
C -4.34 -0.95 0.31
C -3.40 -0.30 1.37
C 1.79 0.81 -1.70
C 2.12 1.27 -3.12
C 0.91 1.51 -4.03
C 0.08 2.75 -3.65
F 0.73 3.44 -2.71
F 0.01 3.53 -4.75
C -1.37 2.40 -3.24
F -2.03 2.23 -4.40
F -1.44 1.22 -2.65
C -2.18 3.48 -2.48
F -1.93 4.64 -3.09
F -3.46 3.19 -2.64
Back to the page >
Next update by:
Monday, 13. Januar 2025 14:00 MEZ
Addendum: It's also confirmed for Windows Server 2019 WTS. A German blog reader pointed to the article Microsoft Outlook 365 wirft plötzlich Fehler und stürzt ab (Windows Server 2016 RDS). This guy confirmed, the issue is caused by an Edge update that changed the file react-native-win32.dll. He was able to use an old version to keep Office 365 to run again. But it's risky to exchange an .dll within a system, especially, if the .dll is from a 3rd party source. It's better to use the .dll from an old backup.
We had this on 2016 RDS Farm;
The fix was a combination of often repeated reinstalls/channel changes using;
-C:\Program Files\Common Files\Microsoft Shared\ClickToRun\OfficeC2RClient.exe /changesetting Channel=SemiAnnual
-setup.exe /configure configuration.xml
using xml (i tried pasting but not working, so just put around each line)
Add OfficeClientEdition="64" Channel="SemiAnnual"
Product ID="O365ProPlusRetail"
Language ID="en-us" /
Property Name="SharedComputerLicensing" Value="1" /
Some only worked after 3 attempts,
thankyou, ran into the same problem today
I had the same problem.
I found this way to downgrade at Spiceworks.
Elevated command prompt.
cd %programfiles%\Common Files\Microsoft Shared\ClickToRun
officec2rclient.exe /update user updatetoversion=16.0.18227.20152
Worked for me. Thanks.
Thankyou, that worked without having to boot users or restart.
This worked for me
Worked for us as well. Installed on a Server 2016 shared server
worked for me, thanks!!
You can not revert/rollback easily, because "Microsoft" things. But you can download previous versiyon with "office deployment tool".
Use this line in to ODT's config.xml for Server 2016 Office 365 issue. And disable auto update after this.
Microsoft Issue MO978220
Same environnement, same issues (TSE in WS2K16….)
Proceeded to restoration of VM and I blocked Microsoft 365 update
i'm currently trying the solution suggested above
Elevated command prompt.
cd %programfiles%\Common Files\Microsoft Shared\ClickToRun
officec2rclient.exe /update user updatetoversion=16.0.18227.20152
Update : command worked for me
No user has to be logged on the TSE during the downgrade.
(or maybe at least, users can be logged but no Office process shall run durong downgrade) = untested from my side
Same her with one of our customers.
• Calculated molecules, as found in the file:
........
Entry 1:
Entry from the Open Molecules 2025 dataset: C4H6N2O2 in the gas phase in a non-equilibrium geometry (the ωB97M-V functional and the def2-TZVPD basis).

```
14
C4H6N2O2, DFT the ωB97M-V functional and the def2-TZVPD basis
C -0.191 1.824 -0.013
N -0.137 0.386 -0.277
C 1.102 -0.459 -0.053
O 2.434 -0.041 -0.280
C 0.617 -1.722 0.017
N -0.799 -1.775 -0.101
C -1.174 -0.580 -0.193
O -2.446 -0.133 -0.168
H -1.170 2.209 -0.297
H 0.680 2.296 -0.360
H -0.119 1.948 1.155
H 3.074 -0.437 0.349
H 1.157 -2.645 0.076
H -3.029 -0.869 0.146
```

2S+1: 1
Net charge: 0
Highest occupied orbital energy, eV: -8.287
HOMO-LUMO gap, eV: 8.941
Structure (SMILES): Cn1c(O)cnc1O

Entry 2:
Entry from the Open Molecules 2025 dataset: a molecular structure, C24H32Cl2IrN3O4PS3Te (the ωB97M-V functional and the def2-TZVPD basis).

```
71
C24H32Cl2IrN3O4PS3Te, DFT the ωB97M-V functional and the def2-TZVPD basis
Ir 0.761 0.380 -0.802
C 0.878 -0.953 -4.318
C 1.930 -1.235 -3.307
N 2.102 -0.583 -2.177
C 3.216 -1.006 -1.471
C 3.875 -2.034 -2.051
S 3.118 -2.437 -3.532
C 3.531 -0.230 -0.271
C 4.667 -0.230 0.459
S 4.569 0.950 1.688
C 3.009 1.407 1.169
N 2.578 0.701 0.149
C 2.288 2.524 1.833
H 0.373 -0.023 -4.071
H 0.135 -1.750 -4.322
H 1.327 -0.875 -5.308
H 4.754 -2.552 -1.705
H 5.541 -0.843 0.319
H 2.681 2.694 2.834
H 1.226 2.304 1.897
H 2.412 3.441 1.255
Cl 1.811 3.045 -2.461
C 1.163 4.093 -1.225
C 1.737 5.346 -1.114
C 1.274 6.229 -0.152
C 0.238 5.850 0.684
C -0.321 4.589 0.553
Cl -1.636 4.195 1.623
C 0.125 3.659 -0.397
S -0.721 2.126 -0.602
H 2.536 5.624 -1.788
H 1.714 7.212 -0.062
H -0.150 6.524 1.435
C 0.866 -4.496 -0.369
C -0.399 -4.084 -1.082
O -0.265 -2.703 -1.470
P -1.520 -1.708 -1.572
O -0.821 -0.356 -1.839
Te -3.066 -1.875 0.149
O -2.120 -2.144 -2.987
C -3.393 -1.627 -3.455
C -4.348 -2.775 -3.664
H 0.795 -5.538 -0.057
H 1.020 -3.881 0.519
H 1.736 -4.394 -1.020
H -1.270 -4.190 -0.433
H -0.563 -4.672 -1.987
H -3.181 -1.094 -4.381
H -3.786 -0.915 -2.728
H -3.932 -3.500 -4.364
H -5.291 -2.405 -4.069
H -4.550 -3.272 -2.716
O 0.081 -0.484 0.882
C -0.377 -0.169 2.019
C -0.305 -1.233 3.077
C -1.631 -1.564 3.813
C -2.820 -0.654 3.511
C -2.674 0.778 4.015
C -1.315 1.372 3.662
N -0.866 1.016 2.316
H 0.454 -0.893 3.789
H 0.095 -2.117 2.585
H -1.437 -1.577 4.888
H -1.908 -2.580 3.537
H -3.718 -1.097 3.946
H -2.991 -0.641 2.431
H -2.780 0.825 5.102
H -3.470 1.393 3.593
H -0.551 1.036 4.364
H -1.331 2.460 3.710
H -1.112 1.613 1.524
```

2S+1: 1
Net charge: +1
Highest occupied orbital energy, eV: -9.475
........
Reverted back to old version with office2rclient.exe
And disabled autoupdate
downgrade worked for me:
Elevated command prompt.
cd %programfiles%\Common Files\Microsoft Shared\ClickToRun
officec2rclient.exe /update user updatetoversion=16.0.18227.20152
thx to Christer Hopstadius for the command
Hi, thank you for this article!
Same here.
The .20152 version (downgrade through office2rclient.exe) works correctly -> Confirmed.
Running the rollback/downgrade command listed above solved the issue on Server 2016.
I tried to run the officec2rclient.exe command writen above – doesn't look anything happend as it ran like a second and that was it – didn't solved the problem
The command "C:\Program Files\Common Files\Microsoft Shared\ClickToRun\OfficeC2RClient.exe" /update user updatetoversion=16.0.18227.20162
Unrelated to this piece: molecular data:
/*
#P
Below is a cluster of 2 separate species, C14H23N2 in total, with properties calculated with ωB97M-V/def2-TZVPD.

Computed properties:
Frontier orbital gap = 7.628 eV
HOMO level = -11.6 eV
Charge = +1
LUMO = -3.938 eV
2S+1 = 1

Last column: Löwdin charge in e.
Atoms and positions in Å:
C  0.0767  -0.3671  2.2190  -0.109
N  -1.0761  -0.4599  1.3535  -0.233
C  -1.8984  -1.6794  1.4635  -0.173
C  -3.3600  -1.2385  1.4122  -0.157
C  -3.3828  0.2980  1.3703  -0.152
C  -1.9075  0.7703  1.3570  -0.161
H  0.7236  0.3918  1.7833  0.063
H  -0.0840  -0.0435  3.2783  0.110
H  0.6136  -1.3252  2.2296  0.094
H  -1.6840  -2.3726  0.6310  0.091
H  -1.6600  -2.2280  2.3940  0.124
H  -3.8300  -1.6142  0.5066  0.104
H  -3.9035  -1.6117  2.2803  0.111
H  -3.8773  0.6415  0.4518  0.106
H  -3.8999  0.7295  2.2419  0.113
H  -1.6743  1.4179  2.2466  0.125
H  -1.7155  1.4057  0.4581  0.101
C  -0.1432  -2.2178  -2.1715  0.003
N  0.3810  -0.8775  -1.9209  -0.121
C  0.6925  -0.1020  -3.1268  0.012
C  0.7533  -0.5584  -0.6993  0.009
C  1.5647  0.6001  -0.4326  -0.251
C  1.1526  1.9200  -0.7149  -0.025
C  2.0904  2.9458  -0.6075  -0.045
C  3.4148  2.6600  -0.2383  -0.043
C  3.7840  1.3638  0.1347  -0.046
C  2.8339  0.3442  0.1175  -0.018
H  -0.5349  -2.2396  -3.1927  0.097
H  0.6528  -2.9797  -2.0879  0.121
H  -0.9310  -2.4498  -1.4361  0.092
H  0.4033  -0.7242  -3.9818  0.095
H  0.1170  0.8318  -3.1388  0.106
H  1.7685  0.1130  -3.2122  0.120
H  0.6591  -1.3535  0.0447  0.132
H  0.1164  2.1154  -1.0037  0.118
H  1.7774  3.9754  -0.7693  0.117
H  4.1565  3.4566  -0.2251  0.117
H  4.7856  1.1367  0.5064  0.120
H  3.0448  -0.6746  0.4791  0.134

---

#Q
Below is a structure of composition C14H23N2, with properties calculated with ωB97M-V/def2-TZVPD.

Computed properties:
Frontier orbital gap = 6.588 eV
HOMO level = -12.1 eV
Charge = +1
LUMO = -5.516 eV
2S+1 = 1

Last column: Löwdin charge in e.
Atoms and positions in Å:
C  -0.5840  2.5880  1.0904  -0.067
N  -0.5976  1.1536  1.2856  -0.268
C  -0.1018  0.7127  2.5726  -0.061
N  -1.7381  0.5538  0.8219  0.048
C  -1.9113  -0.7057  0.8414  0.019
H  0.4436  2.9334  1.2496  0.093
H  -0.8948  2.8162  0.0672  0.088
H  -1.2392  3.1315  1.7921  0.094
H  0.8937  1.1559  2.7027  0.099
H  -0.7278  1.0415  3.4232  0.105
H  -0.0175  -0.3766  2.5897  0.069
H  -2.6211  -1.2276  0.0559  0.040
H  -1.3430  -1.3482  1.5494  0.108
C  -3.7184  -3.2876  0.5052  -0.051
C  -3.5019  -2.1298  -0.4544  -0.074
C  -3.1102  -2.4263  -1.8505  -0.120
C  -3.6378  -1.6097  -2.8900  -0.183
C  -4.8013  -0.6846  -2.6495  -0.033
C  -3.1185  -1.6829  -4.1765  0.014
C  -2.1160  -2.5963  -4.5033  -0.222
C  -1.5035  -2.5882  -5.8646  -0.025
C  -1.7083  -3.5037  -3.5244  0.015
C  -2.2052  -3.4635  -2.2236  -0.167
C  -1.7518  -4.5623  -1.3032  -0.034
H  -4.4812  -2.9950  1.2388  0.098
H  -4.0861  -4.1812  -0.0166  0.102
H  -2.8120  -3.5462  1.0664  0.086
H  -4.4101  -1.5193  -0.4370  0.123
H  -4.9704  -0.0893  -3.5550  0.089
H  -5.7275  -1.2484  -2.4537  0.106
*/
fixed it for me. Already hours of troubleshooting untill i found your blog.
And to disable it from updating again.
Press Win + R, type regedit, and press Enter.
Navigate to Office Update Key:
Go to: HKEY_LOCAL_MACHINE\SOFTWARE\Policies\Microsoft\office\16.0\common\officeupdate.
Create or Modify DWORD Value:
If the officeupdate key doesn't exist, create it by right-clicking on common, selecting New > Key, and naming it officeupdate.
Right-click on officeupdate, select New > DWORD (32-bit) Value, and name it EnableAutomaticUpdates.
Set the value of EnableAutomaticUpdates to 0 to disable updates.
To re-enable updates, set the value to 1 or delete the EnableAutomaticUpdates DWORD.
One of our client had the same issue. Nothing worked for me so I had to remove the office and reinstall it with the older version and disable the update.
XML config that I used to install the office